Now type out only the last part of the notes underneath, starting with the line that has "0.2500 0.1648".

____________
(1)
Theoretical PXRD pattern of Mg2Zn2Ag5 for λ = 1.5418 Å (Cu Kα), from the PBE geometry in Alexandria.
Peak positions follow from Bragg's law for the DFT cell and can differ from measured ones.

Unit cell a=5.7643 b=17.3840 c=6.6911 alpha=90.00 beta=90.00 gamma=90.00
Space group Imma (No. 74)
Asymmetric unit:
Mg 0.0000 0.0000 0.0000 (multiplicity 4)
Mg 0.0000 0.2500 0.0479 (multiplicity 4)
Zn 0.0000 0.0642 0.5634 (multiplicity 8)
Ag 0.0000 0.2500 0.4504 (multiplicity 4)
Ag 0.2500 0.1198 0.2500 (multiplicity 8)
Ag 0.2500 0.1648 0.7500 (multiplicity 8)

Principal peaks in the range 2θ from 15° to 90°, by intensity:
- 37.41 deg, 2.404 Å, intensity 100.0, hkl 2 4 0
- 41.35 deg, 2.184 Å, intensity 91.5, hkl 2 0 2
- 33.81 deg, 2.651 Å, intensity 78.4, hkl 0 4 2
- 20.33 deg, 4.369 Å, intensity 49.7, hkl 1 0 1
- 38.67 deg, 2.328 Å, intensity 44.4, hkl 0 7 1
- 43.48 deg, 2.081 Å, intensity 27.8, hkl 0 3 3
- 64.83 deg, 1.438 Å, intensity 26.5, hkl 2 7 3
- 44.33 deg, 2.043 Å, intensity 25.2, hkl 2 6 0
- 41.22 deg, 2.190 Å, intensity 22.9, hkl 0 6 2
- 37.24 deg, 2.414 Å, intensity 22.5, hkl 1 6 1
- 50.38 deg, 1.811 Å, intensity 21.1, hkl 2 7 1
- 20.44 deg, 4.346 Å, intensity 21.1, hkl 0 4 0

(2)
Theoretical PXRD pattern of Mg2ZnAg3 for λ = 1.5418 Å (Cu Kα), from the PBE geometry in Alexandria.
Peak positions follow from Bragg's law for the DFT cell and can differ from measured ones.

Unit cell a=4.5996 b=13.7942 c=6.6617 alpha=90.00 beta=90.00 gamma=90.00
Space group Cmmm (No. 65)
Asymmetric unit:
Mg 0.0000 0.0000 0.0000 (multiplicity 2)
Mg 0.0000 0.0000 0.5000 (multiplicity 2)
Mg 0.0000 0.3347 0.0000 (multiplicity 4)
Zn 0.0000 0.3389 0.5000 (multiplicity 4)
Ag 0.0000 0.1717 0.2635 (multiplicity 8)
Ag 0.0000 0.5000 0.2518 (multiplicity 4)

Principal peaks in the range 2θ from 15° to 90°, by intensity:
- 38.70 deg, 2.327 Å, intensity 100.0, hkl 1 3 2
- 39.18 deg, 2.299 Å, intensity 48.6, hkl 2 0 0
- 70.68 deg, 1.333 Å, intensity 30.7, hkl 3 3 2
- 27.43 deg, 3.252 Å, intensity 27.9, hkl 1 3 0
- 56.61 deg, 1.626 Å, intensity 15.5, hkl 2 6 0
- 69.72 deg, 1.349 Å, intensity 15.4, hkl 2 0 4
- 26.76 deg, 3.331 Å, intensity 14.5, hkl 0 0 2
- 48.08 deg, 1.892 Å, intensity 11.0, hkl 2 0 2
- 83.00 deg, 1.163 Å, intensity 9.4, hkl 2 6 4
- 55.15 deg, 1.665 Å, intensity 8.2, hkl 0 0 4
- 84.22 deg, 1.150 Å, intensity 4.7, hkl 4 0 0
- 64.02 deg, 1.454 Å, intensity 4.5, hkl 3 3 0

(3)
Theoretical PXRD pattern of Mg2ZnAg3 for λ = 1.5418 Å (Cu Kα), from the PBE geometry in Alexandria.
Peak positions follow from Bragg's law for the DFT cell and can differ from measured ones.

Unit cell a=4.4556 b=13.1967 c=3.6046 alpha=90.00 beta=90.00 gamma=90.00
Space group Cmmm (No. 65)
Asymmetric unit:
Mg 0.0000 0.1652 0.0000 (multiplicity 4)
Zn 0.0000 0.5000 0.0000 (multiplicity 2)
Ag 0.0000 0.0000 0.5000 (multiplicity 2)
Ag 0.0000 0.3379 0.5000 (multiplicity 4)

Principal peaks in the range 2θ from 15° to 90°, by intensity:
- 38.07 deg, 2.364 Å, intensity 100.0, hkl 1 3 1
- 28.51 deg, 3.130 Å, intensity 23.7, hkl 1 3 0
- 40.49 deg, 2.228 Å, intensity 21.0, hkl 2 0 0
- 41.04 deg, 2.199 Å, intensity 19.9, hkl 0 6 0
- 24.70 deg, 3.605 Å, intensity 17.1, hkl 0 0 1
- 72.05 deg, 1.311 Å, intensity 14.0, hkl 3 3 1
- 72.79 deg, 1.299 Å, intensity 13.2, hkl 1 9 1
- 59.02 deg, 1.565 Å, intensity 12.9, hkl 2 6 0
- 50.65 deg, 1.802 Å, intensity 10.6, hkl 0 0 2
- 67.16 deg, 1.394 Å, intensity 10.3, hkl 0 6 2
- 81.44 deg, 1.182 Å, intensity 9.9, hkl 2 6 2
- 66.76 deg, 1.401 Å, intensity 8.9, hkl 2 0 2

(4)
Theoretical PXRD pattern of MgZrAg2 for λ = 1.5418 Å (Cu Kα), from the PBE geometry in Alexandria.
Peak positions follow from Bragg's law for the DFT cell and can differ from measured ones.

Unit cell a=2.9713 b=4.7421 c=5.7712 alpha=90.00 beta=104.24 gamma=90.00
Space group Pm (No. 6)
Asymmetric unit:
Mg 0.0000 0.0000 0.0000 (multiplicity 1)
Zr 0.6851 0.5000 0.3508 (multiplicity 1)
Ag 0.2734 0.0000 0.5341 (multiplicity 1)
Ag 0.4089 0.5000 0.8326 (multiplicity 1)
____________

Ag 0.2500 0.1648 0.7500 (multiplicity 8)

Principal peaks in the range 2θ from 15° to 90°, by intensity:
- 37.41 deg, 2.404 Å, intensity 100.0, hkl 2 4 0
- 41.35 deg, 2.184 Å, intensity 91.5, hkl 2 0 2
- 33.81 deg, 2.651 Å, intensity 78.4, hkl 0 4 2
- 20.33 deg, 4.369 Å, intensity 49.7, hkl 1 0 1
- 38.67 deg, 2.328 Å, intensity 44.4, hkl 0 7 1
- 43.48 deg, 2.081 Å, intensity 27.8, hkl 0 3 3
- 64.83 deg, 1.438 Å, intensity 26.5, hkl 2 7 3
- 44.33 deg, 2.043 Å, intensity 25.2, hkl 2 6 0
- 41.22 deg, 2.190 Å, intensity 22.9, hkl 0 6 2
- 37.24 deg, 2.414 Å, intensity 22.5, hkl 1 6 1
- 50.38 deg, 1.811 Å, intensity 21.1, hkl 2 7 1
- 20.44 deg, 4.346 Å, intensity 21.1, hkl 0 4 0

(2)
Theoretical PXRD pattern of Mg2ZnAg3 for λ = 1.5418 Å (Cu Kα), from the PBE geometry in Alexandria.
Peak positions follow from Bragg's law for the DFT cell and can differ from measured ones.

Unit cell a=4.5996 b=13.7942 c=6.6617 alpha=90.00 beta=90.00 gamma=90.00
Space group Cmmm (No. 65)
Asymmetric unit:
Mg 0.0000 0.0000 0.0000 (multiplicity 2)
Mg 0.0000 0.0000 0.5000 (multiplicity 2)
Mg 0.0000 0.3347 0.0000 (multiplicity 4)
Zn 0.0000 0.3389 0.5000 (multiplicity 4)
Ag 0.0000 0.1717 0.2635 (multiplicity 8)
Ag 0.0000 0.5000 0.2518 (multiplicity 4)

Principal peaks in the range 2θ from 15° to 90°, by intensity:
- 38.70 deg, 2.327 Å, intensity 100.0, hkl 1 3 2
- 39.18 deg, 2.299 Å, intensity 48.6, hkl 2 0 0
- 70.68 deg, 1.333 Å, intensity 30.7, hkl 3 3 2
- 27.43 deg, 3.252 Å, intensity 27.9, hkl 1 3 0
- 56.61 deg, 1.626 Å, intensity 15.5, hkl 2 6 0
- 69.72 deg, 1.349 Å, intensity 15.4, hkl 2 0 4
- 26.76 deg, 3.331 Å, intensity 14.5, hkl 0 0 2
- 48.08 deg, 1.892 Å, intensity 11.0, hkl 2 0 2
- 83.00 deg, 1.163 Å, intensity 9.4, hkl 2 6 4
- 55.15 deg, 1.665 Å, intensity 8.2, hkl 0 0 4
- 84.22 deg, 1.150 Å, intensity 4.7, hkl 4 0 0
- 64.02 deg, 1.454 Å, intensity 4.5, hkl 3 3 0

(3)
Theoretical PXRD pattern of Mg2ZnAg3 for λ = 1.5418 Å (Cu Kα), from the PBE geometry in Alexandria.
Peak positions follow from Bragg's law for the DFT cell and can differ from measured ones.

Unit cell a=4.4556 b=13.1967 c=3.6046 alpha=90.00 beta=90.00 gamma=90.00
Space group Cmmm (No. 65)
Asymmetric unit:
Mg 0.0000 0.1652 0.0000 (multiplicity 4)
Zn 0.0000 0.5000 0.0000 (multiplicity 2)
Ag 0.0000 0.0000 0.5000 (multiplicity 2)
Ag 0.0000 0.3379 0.5000 (multiplicity 4)

Principal peaks in the range 2θ from 15° to 90°, by intensity:
- 38.07 deg, 2.364 Å, intensity 100.0, hkl 1 3 1
- 28.51 deg, 3.130 Å, intensity 23.7, hkl 1 3 0
- 40.49 deg, 2.228 Å, intensity 21.0, hkl 2 0 0
- 41.04 deg, 2.199 Å, intensity 19.9, hkl 0 6 0
- 24.70 deg, 3.605 Å, intensity 17.1, hkl 0 0 1
- 72.05 deg, 1.311 Å, intensity 14.0, hkl 3 3 1
- 72.79 deg, 1.299 Å, intensity 13.2, hkl 1 9 1
- 59.02 deg, 1.565 Å, intensity 12.9, hkl 2 6 0
- 50.65 deg, 1.802 Å, intensity 10.6, hkl 0 0 2
- 67.16 deg, 1.394 Å, intensity 10.3, hkl 0 6 2
- 81.44 deg, 1.182 Å, intensity 9.9, hkl 2 6 2
- 66.76 deg, 1.401 Å, intensity 8.9, hkl 2 0 2

(4)
Theoretical PXRD pattern of MgZrAg2 for λ = 1.5418 Å (Cu Kα), from the PBE geometry in Alexandria.
Peak positions follow from Bragg's law for the DFT cell and can differ from measured ones.

Unit cell a=2.9713 b=4.7421 c=5.7712 alpha=90.00 beta=104.24 gamma=90.00
Space group Pm (No. 6)
Asymmetric unit:
Mg 0.0000 0.0000 0.0000 (multiplicity 1)
Zr 0.6851 0.5000 0.3508 (multiplicity 1)
Ag 0.2734 0.0000 0.5341 (multiplicity 1)
Ag 0.4089 0.5000 0.8326 (multiplicity 1)